# Data
## LaAgAs (PBE-GGA)

Data for LaAgAs after structural relaxation.

Unit cell a=7.077 b=7.077 c=7.077 alpha=90.00 beta=90.00 gamma=90.00
Fractional coordinates of all 12 atoms:
La 0.000 0.000 0.000
La 0.000 0.500 0.500
La 0.500 0.000 0.500
La 0.500 0.500 0.000
Ag 0.250 0.250 0.250
Ag 0.250 0.750 0.750
Ag 0.750 0.250 0.750
Ag 0.750 0.750 0.250
As 0.250 0.250 0.750
As 0.250 0.750 0.250
As 0.750 0.250 0.250
As 0.750 0.750 0.750

**Energy of formation**: -1.3 eV per formula unit
**Calculated density**: 6.027 g cm⁻³
**Magnetic moment**: 0.000 μB/atom



## La2Ag2As (PBE-GGA)

Data for La2Ag2As after structural relaxation.

Unit cell a=7.756 b=7.756 c=4.336 alpha=90.00 beta=90.00 gamma=90.00
Fractional coordinates of all 10 atoms:
La 0.179 0.321 0.000
La 0.321 0.821 0.000
La 0.679 0.179 0.000
La 0.821 0.679 0.000
Ag 0.125 0.625 0.500
Ag 0.375 0.125 0.500
Ag 0.625 0.875 0.500
Ag 0.875 0.375 0.500
As 0.000 0.000 0.500
As 0.500 0.500 0.500

**Energy of formation**: -2.2 eV per formula unit
**Calculated density**: 7.238 g cm⁻³
**Magnetic moment**: 0.000 μB/atom



no.,volume (Å³ per atom)
1,29.5
2,26.1

=====

Material: Dy2NiP3Ir4
Method: DFT, PBE-GGA
State: relaxed

Properties
* calculated formation energy: -86.88 kJ per mole of atoms
* SG: No. 115

Lattice parameters (Å, degrees): 4.0640 4.0640 9.7955 90.00 90.00 90.00
Atoms (fractional coordinates):
Dy 0.0000 0.5000 0.7419
Dy 0.5000 0.0000 0.2581
Ir 0.0000 0.0000 0.0000
Ir 0.0000 0.5000 0.3694
Ir 0.5000 0.0000 0.6306
Ir 0.5000 0.5000 0.0000
P 0.0000 0.5000 0.1388
P 0.5000 0.0000 0.8612
P 0.0000 0.0000 0.5000
Ni 0.5000 0.5000 0.5000

***

Material: CdFe2I6
Method: DFT, PBE-GGA
State: relaxed

Properties
* formation energy (no corrections): -0.26 eV/atom
* SG: No. 15

Lattice parameters (Å, degrees): 7.2713 11.8511 11.8511 83.04 63.89 63.89
Atoms (fractional coordinates):
I 0.3392 0.0167 0.2066
I 0.6351 0.3098 0.4323
I 0.1608 0.7934 0.9833
I 0.1566 0.1708 0.5993
I 0.8434 0.8292 0.4007
I 0.8392 0.2066 0.0167
I 0.3434 0.4007 0.8292
I 0.6608 0.9833 0.7934
I 0.3649 0.6902 0.5677
I 0.8649 0.5677 0.6902
I 0.6566 0.5993 0.1708
I 0.1351 0.4323 0.3098
Cd 0.2500 0.0001 0.9999
Cd 0.7500 0.9999 0.0001
Fe 0.8126 0.6301 0.4766
Fe 0.3126 0.4766 0.6301
Fe 0.6874 0.5234 0.3699
Fe 0.1874 0.3699 0.5234

***

Computed final energy, in the same sequence as the records: -75.66, -58.89 eV for the cell shown.

# Activity
Now say how many lines of the rows above hold the word "Computed", as a bare number.

# Solution
1